**Listing**
'''
Mn3CrNi2P6O24: optimized geometry, PBE+U.

Computed properties:
Total energy = -7.0470 eV per atom

a = 8.447 Å, b = 8.447 Å, c = 8.447 Å
α = 60.70°, β = 60.70°, γ = 60.70°
Last column: magnetic moment on the atom in μB.
Fractional coordinates of all 36 atoms:
Mn: 0.142 0.142 0.142  3.62
Mn: 0.358 0.358 0.358  3.22
Mn: 0.642 0.642 0.642  3.71
Cr: 0.860 0.860 0.860  2.90
Ni: 0.000 0.000 0.000  1.82
Ni: 0.500 0.500 0.500  1.82
P: 0.457 0.750 0.043  0.02
P: 0.750 0.043 0.457  0.02
P: 0.043 0.457 0.750  0.02
P: 0.960 0.541 0.250  0.01
P: 0.250 0.960 0.541  0.01
P: 0.541 0.250 0.960  0.01
O: 0.500 0.321 0.117  0.00
O: 0.117 0.500 0.321  0.00
O: 0.253 0.908 0.065  -0.03
O: 0.321 0.117 0.500  0.00
O: 0.614 0.812 0.008  -0.03
O: 0.446 0.582 0.243  -0.04
O: 0.908 0.065 0.253  -0.03
O: 0.582 0.243 0.446  -0.04
O: 0.995 0.386 0.182  -0.03
O: 0.243 0.446 0.582  -0.04
O: 0.946 0.742 0.091  0.00
O: 0.182 0.995 0.386  -0.03
O: 0.812 0.008 0.614  -0.03
O: 0.065 0.253 0.908  -0.03
O: 0.760 0.552 0.413  -0.04
O: 0.008 0.614 0.812  -0.03
O: 0.413 0.760 0.552  -0.04
O: 0.091 0.946 0.742  0.00
O: 0.552 0.413 0.760  -0.04
O: 0.386 0.182 0.995  -0.03
O: 0.691 0.883 0.485  -0.03
O: 0.742 0.091 0.946  0.00
O: 0.883 0.485 0.691  -0.03
O: 0.485 0.691 0.883  -0.03
'''

**Activity**
Please reproduce the notes earlier on character by character.

**Completed**
Mn3CrNi2P6O24: optimized geometry, PBE+U.

Computed properties:
Total energy = -7.0470 eV per atom

a = 8.447 Å, b = 8.447 Å, c = 8.447 Å
α = 60.70°, β = 60.70°, γ = 60.70°
Last column: magnetic moment on the atom in μB.
Fractional coordinates of all 36 atoms:
Mn: 0.142 0.142 0.142  3.62
Mn: 0.358 0.358 0.358  3.22
Mn: 0.642 0.642 0.642  3.71
Cr: 0.860 0.860 0.860  2.90
Ni: 0.000 0.000 0.000  1.82
Ni: 0.500 0.500 0.500  1.82
P: 0.457 0.750 0.043  0.02
P: 0.750 0.043 0.457  0.02
P: 0.043 0.457 0.750  0.02
P: 0.960 0.541 0.250  0.01
P: 0.250 0.960 0.541  0.01
P: 0.541 0.250 0.960  0.01
O: 0.500 0.321 0.117  0.00
O: 0.117 0.500 0.321  0.00
O: 0.253 0.908 0.065  -0.03
O: 0.321 0.117 0.500  0.00
O: 0.614 0.812 0.008  -0.03
O: 0.446 0.582 0.243  -0.04
O: 0.908 0.065 0.253  -0.03
O: 0.582 0.243 0.446  -0.04
O: 0.995 0.386 0.182  -0.03
O: 0.243 0.446 0.582  -0.04
O: 0.946 0.742 0.091  0.00
O: 0.182 0.995 0.386  -0.03
O: 0.812 0.008 0.614  -0.03
O: 0.065 0.253 0.908  -0.03
O: 0.760 0.552 0.413  -0.04
O: 0.008 0.614 0.812  -0.03
O: 0.413 0.760 0.552  -0.04
O: 0.091 0.946 0.742  0.00
O: 0.552 0.413 0.760  -0.04
O: 0.386 0.182 0.995  -0.03
O: 0.691 0.883 0.485  -0.03
O: 0.742 0.091 0.946  0.00
O: 0.883 0.485 0.691  -0.03
O: 0.485 0.691 0.883  -0.03